Source >
(1)
Below is C24H23AsCoNO5S as an isolated structure, with properties calculated with the ωB97M-V functional and the def2-TZVPD basis.

Its multiplicity is 1. The total energy is -5376.10197 Ha. Its LUMO energy is -0.421 eV. The energy relative to the best compared isomer or geometry (same formula, charge and spin) comes out at 13.1 kJ/mol. The value obtained for the HOMO energy is -0.290 Ha. The value obtained for the molecular weight is 571.37 g mol⁻¹.

Structure (XYZ):
```
56
Properties=species:S:1:pos:R:3:forces:R:3
Co -1.21972 0.99270 0.06950 -0.76 -0.53 0.25
O -1.98079 -0.14573 -1.58095 0.13 0.25 0.02
C -3.40377 -0.24615 -1.39943 -0.05 0.01 0.07
C -3.84569 1.10090 -0.88558 -0.03 -0.02 -0.04
N -3.12343 1.47994 0.34932 0.45 0.07 0.05
C -3.11247 2.94949 0.46947 0.04 0.06 -0.02
C -2.09527 3.49109 -0.55663 -0.05 -0.08 0.03
O -2.22447 4.60041 -1.02167 0.01 0.02 0.04
O -1.14996 2.64533 -0.84582 0.32 -0.13 -0.29
C -3.54465 0.71243 1.53333 -0.01 -0.03 0.03
C -2.81274 -0.63917 1.56729 0.00 0.08 -0.03
O -3.31825 -1.61618 2.07278 0.00 0.06 0.05
O -1.63244 -0.60703 1.01190 0.06 -0.07 -0.14
H -1.59390 -1.02945 -1.48904 0.04 0.03 0.03
H -3.64146 -1.05431 -0.70601 0.02 0.01 0.00
H -3.88390 -0.45434 -2.35679 0.03 0.01 -0.01
H -4.92528 1.12058 -0.70892 0.01 -0.02 0.01
H -3.60634 1.84828 -1.64262 -0.03 0.01 0.00
H -2.77237 3.22105 1.46880 -0.03 0.00 0.00
H -4.09768 3.38630 0.29821 0.00 -0.01 -0.01
H -4.62614 0.57309 1.57293 0.00 -0.03 -0.03
H -3.21902 1.25942 2.41811 -0.04 0.00 0.01
S -0.48043 1.92925 1.94017 0.04 0.04 -0.13
C 0.80538 0.87188 2.51042 -0.01 0.03 0.07
C 1.20774 0.95896 3.84734 -0.01 -0.01 -0.04
C 2.28081 0.21591 4.30239 0.03 -0.03 -0.02
C 2.98052 -0.63234 3.44627 -0.02 0.04 0.04
C 2.58446 -0.73212 2.12516 -0.04 -0.01 0.00
C 1.49815 0.00674 1.66764 0.07 -0.10 -0.02
As 0.88112 -0.02947 -0.14012 0.00 0.20 0.11
C 2.37497 0.53485 -1.21413 -0.11 0.17 -0.04
C 3.39950 -0.33575 -1.57060 0.02 0.01 0.02
C 4.48640 0.14221 -2.28805 -0.01 -0.03 0.01
C 4.54771 1.48101 -2.65034 -0.02 0.03 0.00
C 3.52172 2.34711 -2.29939 0.04 -0.02 -0.02
C 2.43196 1.87621 -1.58170 -0.07 0.03 0.01
C 0.65822 -1.88407 -0.62233 0.03 0.06 -0.12
C 0.63485 -2.21656 -1.97652 0.03 -0.01 -0.02
C 0.37602 -3.52395 -2.36718 0.00 0.01 0.02
C 0.14263 -4.49699 -1.40543 0.00 0.00 -0.01
C 0.16486 -4.16400 -0.05791 -0.02 -0.02 0.01
C 0.41553 -2.85860 0.33756 -0.04 -0.01 0.05
H 0.67315 1.61779 4.51953 0.00 0.00 0.00
H 2.57817 0.29673 5.34024 0.00 0.00 0.00
H 3.82258 -1.20591 3.80917 -0.01 0.00 0.01
H 3.11831 -1.38600 1.44440 -0.01 -0.01 0.01
H 3.35183 -1.38281 -1.29682 0.00 -0.01 0.00
H 5.28578 -0.53290 -2.56494 0.00 0.00 0.00
H 5.39631 1.84885 -3.21240 0.00 0.00 0.00
H 3.56526 3.38896 -2.58780 0.00 0.00 0.00
H 1.62161 2.54714 -1.31655 -0.01 -0.01 0.00
H 0.83577 -1.45965 -2.72795 -0.02 -0.01 0.01
H 0.36179 -3.78069 -3.41846 0.00 0.01 0.00
H -0.06082 -5.51629 -1.70682 0.00 0.00 0.00
H -0.02998 -4.92060 0.69056 0.01 0.00 0.00
H 0.39787 -2.59357 1.38643 0.00 0.00 0.00
```
Forces are in eV/Å.

=====

(2)
Below is a 2-piece molecular cluster, C25H30Br3N3O4S overall, with properties calculated with the ωB97M-V functional and the def2-TZVPD basis.

Its multiplicity is 1. The total energy is -9555.38611 Ha. Its LUMO energy is -1.405 eV. Its structure (SMILES) is CC[C@@H](Br)c1cc2nc([C@@H](C)CC)c(N=C=S)nc2c(/C(Br)=C(/C)Br)c1CC(=O)O.CCOC(C)=O. The energy relative to the best compared isomer or geometry (same formula, charge and spin) comes out at 1576.9 kJ/mol. The value obtained for the HOMO energy is -0.310 Ha. The value obtained for the molecular weight is 708.31 g mol⁻¹.

Structure (XYZ):
```
66
Properties=species:S:1:pos:R:3:forces:R:3
C -3.79688 -4.78385 -0.97817 1.52 0.45 -0.25
C -4.26466 -3.49947 -1.88626 -0.83 0.42 0.71
C -3.92094 -2.02687 -1.18136 1.17 -1.07 -1.73
Br -4.64688 -2.18641 0.71464 0.42 0.60 -1.18
C -2.29393 -1.69502 -1.16491 4.37 -0.28 -0.26
C -1.15770 -2.76393 -1.75104 -0.41 3.09 1.51
C 0.48096 -2.46712 -1.70820 -0.13 0.42 0.37

To do >
What is needed: say how many lines of the calculation results further above hold the word "same", as a bare number.

Reply >
2